TORONTO, Canada — Toronto's populist mayor Rob Ford was apparently wrong when he famously declared that "the war on the car is over."
It's not, and surprisingly, the latest salvos have come from people he would normally count on for support.
Ford swept into the top job in Canada’s largest city last fall on a wave of anti-elitist sentiment. He tapped into anger among voters in the sprawling, postwar suburbs, who resented the leafy, transit-friendly and oh-so-cosmopolitan downtown area.
+++
[1]
The following is a PBE-GGA calculation of crystalline Ho4Si2Ge at its relaxed geometry, from Alexandria.

For the energy relative to the elements, uncorrected, the calculation gives -0.53 eV/atom. The volume comes out at 26.69 Å³ per atom. Its density of states at the Fermi level is 5.26 states/eV/f.u.

The structure belongs to space group C2/m (No. 12); the cell edges are 13.8859, 4.3016 and 7.2077 Å and the angles 90.00°, 119.80° and 90.00°. Symmetry generates all atoms from Ho at (0.1214, 0.0000, 0.3080), Ho at (0.1350, 0.5000, 0.7864), Si at (0.2378, 0.5000, 0.2389) and Ge at (0.0000, 0.5000, 0.0000).

***

[2]
The following is a PBE-GGA calculation of crystalline Tb5YHo2 at its relaxed geometry, from Alexandria.

For the formation energy, the calculation gives 15.3 meV/atom. The volume comes out at 31.73 Å³ per atom. Its density of states at the Fermi level is 9.60 states/eV/f.u.

The structure belongs to space group Pbam (No. 55); the cell edges are 7.1112, 14.2231 and 5.0189 Å and the angles 90.00°, 90.00° and 90.00°. Symmetry generates all atoms from Tb at (0.0000, 0.0000, 0.0000), Tb at (0.9999, 0.2496, 0.0000), Tb at (0.2494, 0.1252, 0.5000), Y at (0.0000, 0.5000, 0.0000) and Ho at (0.2503, 0.3748, 0.5000).

***

[3]
The following is a PBE-GGA calculation of crystalline Zr3Bi7 at its relaxed geometry, from Alexandria.

For the formation energy, the calculation gives -54.1 meV/atom. The volume comes out at 29.55 Å³ per atom. Its density of states at the Fermi level is 8.14 states/eV/f.u.

The structure belongs to space group Im-3m (No. 229); the cell edges are 10.5734, 10.5734 and 10.5734 Å and the angles 90.00°, 90.00° and 90.00°. Symmetry generates all atoms from Zr at (0.0000, 0.0000, 0.3520), Bi at (0.0000, 0.2500, 0.5000) and Bi at (0.1620, 0.1620, 0.1620).

***

[4]
The following is a PBE-GGA calculation of crystalline Tb6Pr3Tm at its relaxed geometry, from Alexandria.

For the formation energy, the calculation gives 147.0 meV/atom. The volume comes out at 33.45 Å³ per atom. Its density of states at the Fermi level is 13.27 states/eV/f.u.

The structure belongs to space group Cmc2_1 (No. 36); the cell edges are 10.9838, 19.0237 and 6.4031 Å and the angles 90.00°, 90.00° and 90.00°. Symmetry generates all atoms from Tb at (0.0000, 0.0382, 0.0000), Tb at (0.0000, 0.2722, 0.7773), Tb at (0.1687, 0.4546, 0.6812), Tb at (0.2381, 0.2901, 0.4983), Pr at (0.0000, 0.3873, 0.2017), Pr at (0.1750, 0.1139, 0.5939) and Tm at (0.0000, 0.1941, 0.2547).

***

[5]
The following is a PBE-GGA calculation of crystalline KTl2AsO4 at its relaxed geometry, from Alexandria.

For the energy relative to the elements, uncorrected, the calculation gives -1.04 eV/atom. The volume comes out at 27.78 Å³ per atom. Its density of states at the Fermi level is 0.00 states/eV/f.u.
+++
(Read more: Toronto's Tea Party mayor)
-- Records of crystals from another source follow --
Record 1
This record from Alexandria describes TbHo2Er5Zr after structural relaxation. The functional is PBE.

Output
Energy relative to the elements in meV per atom: 174
Calculated volume in Å³/atom: 30.77

Cell: 5.570 21.464 9.265 Å, 90.00 90.00 90.00°
Space group Cmc2_1 (No. 36)
Symmetry-distinct sites (fractional):
Tb (0.000, 0.099, 0.000) (multiplicity 4)
Ho (0.000, 0.366, 0.714) (multiplicity 4)
Ho (0.000, 0.385, 0.107) (multiplicity 4)
Er (0.000, 0.029, 0.680) (multiplicity 4)
Er (0.000, 0.105, 0.382) (multiplicity 4)
Er (0.000, 0.196, 0.715) (multiplicity 4)
Er (0.000, 0.232, 0.099) (multiplicity 4)
Er (0.000, 0.486, 0.415) (multiplicity 4)
Zr (0.000, 0.316, 0.409) (multiplicity 4)

Record 2
This record from Alexandria describes LaYIN2 after structural relaxation. The functional is PBE.

Output
Offset from the most stable computed form in eV/atom: 0.000
E_form (uncorrected) in eV per formula unit: -0.37
Calculated volume in Å³/atom: 23.71

Cell: 4.561 4.561 5.697 Å, 90.00 90.00 90.00°
Space group P4/mmm (No. 123)
Symmetry-distinct sites (fractional):
La (0.000, 0.000, 0.000) (multiplicity 1)
Y (0.500, 0.500, 0.500) (multiplicity 1)
I (0.500, 0.500, 0.000) (multiplicity 1)
N (0.000, 0.500, 0.500) (multiplicity 2)

Record 3
This record from Alexandria describes BaNp2ScO8 after structural relaxation. The functional is PBE.

Output
E_form (uncorrected) in eV per formula unit: -35.20
Calculated volume in Å³/atom: 15.64

Cell: 5.141 5.144 7.111 Å, 89.95 89.95 86.35°
Space group P-1 (No. 2)
Symmetry-distinct sites (fractional):
Ba (0.000, 0.000, 0.000) (multiplicity 1)
Np (0.500, 0.500, 0.260) (multiplicity 2)
Sc (0.000, 0.000, 0.500) (multiplicity 1)
O (0.215, 0.783, 0.291) (multiplicity 2)
O (0.215, 0.783, 0.709) (multiplicity 2)
O (0.311, 0.310, 0.500) (multiplicity 2)
O (0.341, 0.338, 0.999) (multiplicity 2)

Record 4
This record from Alexandria describes Rb2AlRe after structural relaxation. The functional is PBE.

Output
Energy relative to the elements in meV per atom: 1551
Calculated volume in Å³/atom: 25.57

Cell: 4.056 4.056 24.870 Å, 90.00 90.00 90.00°
Space group I-42d (No. 122)
Symmetry-distinct sites (fractional):
Rb (0.249, 0.250, 0.125) (multiplicity 8)
Al (0.000, 0.000, 0.500) (multiplicity 4)
Re (0.000, 0.000, 0.000) (multiplicity 4)

Record 5
This record from Alexandria describes HoErCuNi after structural relaxation. The functional is PBE.

Output
Offset from the most stable computed form in eV/atom: 0.035
Energy relative to the elements in meV per atom: -347
Calculated volume in Å³/atom: 19.57

Cell: 6.790 6.790 6.790 Å, 90.00 90.00 90.00°
Space group F-43m (No. 216)
Symmetry-distinct sites (fractional):
Ho (0.000, 0.000, 0.000) (multiplicity 4)
Er (0.000, 0.000, 0.500) (multiplicity 4)
Cu (0.250, 0.250, 0.750) (multiplicity 4)
Ni (0.250, 0.250, 0.250) (multiplicity 4)

Record 6
This record from Alexandria describes LaZrCd after structural relaxation. The functional is PBE.

Output
Ford's first official act was to rescind a car registration tax, leaving a $64 million hole in city revenues. He also torpedoed an extensive, cross-region light-rail transit plan and, just last week, orchestrated the removal of bike lanes along one of Toronto’s main north-south arteries.
All this is aimed at restoring the supremacy of the automobile, and rewarding the base that elected him: people who drive to work, usually by themselves.
Unfortunately, these are the very people who are strangling Toronto’s economy and it’s not just bike-riding "pinkos" who are saying it.
Last month, the city’s blue-chip Board of Trade reported that Toronto had, at an average of 80 minutes, the longest commute time among 24 global metropolitan areas (even worse than notoriously congested Los Angeles). It warned bluntly that gridlock was rapidly destroying Toronto’s competitiveness and called for measures aimed squarely at picking the pockets of motorists — including roads tolls and parking fees — to dissuade them from taking their cars.
The board’s report comes on the heels of similar public musings by the man Ford himself appointed to sketch out a new transit plan. Gordon Chong told the Toronto Star that tolls and other congestion charges may be unavoidable.
“Everybody in the world is paying tolls, what’s so special about us?” asked Chong.
The short answer: A deeply-entwined, decades-long dependency on the automobile that has proven stubbornly resistant to change.
Historically, Toronto’s economy has relied heavily on the auto industry. From the mid-1960s to early 2000s, the U.S.-Canada Auto Pact guaranteed a lucrative share of North American auto manufacturing, much of it based at the sprawling GM and Ford plants that still bookend the city. Coupled with the relatively cheap power of nearby Niagara Falls, the pact fostered thousands of high-paying jobs and an attitude, especially among the political class, that what’s good for the car is good for southern Ontario.
Housing developers made billions, real estate agents retired young and newspaper tycoons felled entire forests to supply newsprint for their fat “Homes” and “Wheels” supplements. In the process they helped create the vast suburban hinterland that surrounds Toronto, home to millions of car-dependent commuters.
There were naysayers, of course, and some significant victories. A civic reform movement in the 1970s, led in part by the great urban thinker Jane Jacobs (who famously left New York for Toronto), saved a huge swath of the downtown that would otherwise have been run over by an expressway.
The result is the contradiction at the heart of Toronto’s political divide: superhighways, choked daily by frustrated, four-wheeled hordes of suburbanites, ringing a downtown core of neighborhoods full of renovated century homes and gleaming new condos — many walking distance from streetcars or the city’s rudimentary but useful subway lines.
Calculated crystals from another source follow:
........
Entry 1:
Density functional theory data (GGA-PBE) for an optimized crystal structure of Na4TbIn3Se8.

Summary:
**Raw total energy**: -186.49 eV for the cell shown
**Formation energy without anion corrections**: -1.010 eV per atom

Structure (CIF):
```
data_Na4TbIn3Se8
_chemical_formula_sum 'Na12 Tb3 In9 Se24'
_space_group_name_H-M_alt 'R -3 m'
_space_group_IT_number 166
_space_group_name_Hall '-R 3 2"'
_cell_length_a 8.1289
_cell_length_b 8.1289
_cell_length_c 21.1994
_cell_angle_alpha 90.00
_cell_angle_beta 90.00
_cell_angle_gamma 120.00
loop_
_atom_site_label
_atom_site_type_symbol
_atom_site_fract_x
_atom_site_fract_y
_atom_site_fract_z
Na1 Na 0.0000 0.0000 0.0000
Na2 Na 0.0000 0.5000 0.0000
Tb1 Tb 0.0000 0.0000 0.5000
In1 In 0.0000 0.5000 0.5000
Se1 Se 0.0000 0.0000 0.2385
Se2 Se 0.0063 0.5032 0.7574
```

=====

Entry 2:
Density functional theory data (GGA-PBE) for an optimized crystal structure of Na3Tb3InSe8.

Summary:
**Raw total energy**: -138.17 eV for the cell shown
**Formation energy without anion corrections**: -1.375 eV per atom

Structure (CIF):
```
data_Na3Tb3InSe8
_chemical_formula_sum 'Na6 Tb6 In2 Se16'
_space_group_name_H-M_alt 'C 1 2/m 1'
_space_group_IT_number 12
_space_group_name_Hall '-C 2y'
_cell_length_a 14.2243
_cell_length_b 8.1988
_cell_length_c 8.5497
_cell_angle_alpha 90.00
_cell_angle_beta 123.71
_cell_angle_gamma 90.00
loop_
_atom_site_label
_atom_site_type_symbol
_atom_site_fract_x
_atom_site_fract_y
_atom_site_fract_z
Na1 Na 0.0000 0.0000 0.0000
Na2 Na 0.2500 0.2500 0.0000
Tb1 Tb 0.0000 0.5000 0.5000
Tb2 Tb 0.2500 0.2500 0.5000
In1 In 0.0000 0.0000 0.5000
Se1 Se 0.0060 0.2450 0.2731
Se2 Se 0.2390 0.0000 0.7270
Se3 Se 0.2435 0.5000 0.7305
```

=====

Entry 3:
Density functional theory data (GGA-PBE) for an optimized crystal structure of NaInTc2Se.

Summary:
**Raw total energy**: -23.66 eV for the cell shown
**Formation energy without anion corrections**: 0.923 eV per atom

Structure (CIF):
```
data_NaInTc2Se
_chemical_formula_sum 'Na1 In1 Tc2 Se1'
_space_group_name_H-M_alt 'P 4/m m m'
_space_group_IT_number 123
_space_group_name_Hall '-P 4 2'
_cell_length_a 4.6469
_cell_length_b 4.6469
_cell_length_c 5.7169
_cell_angle_alpha 90.00
_cell_angle_beta 90.00
_cell_angle_gamma 90.00
loop_
_atom_site_label
_atom_site_type_symbol
_atom_site_fract_x
_atom_site_fract_y
_atom_site_fract_z
Na1 Na 0.0000 0.0000 0.0000
In1 In 0.5000 0.5000 0.0000
Tc1 Tc 0.0000 0.5000 0.5000
Se1 Se 0.5000 0.5000 0.5000
```

=====

Entry 4:
Density functional theory data (GGA-PBE) for an optimized crystal structure of NaInTe2Se.

Summary:
**Raw total energy**: -14.58 eV for the cell shown
**Formation energy without anion corrections**: -0.152 eV per atom

Structure (CIF):
```
data_NaInTe2Se
_chemical_formula_sum 'Na1 In1 Te2 Se1'
_space_group_name_H-M_alt 'P 4/m m m'
_space_group_IT_number 123
_space_group_name_Hall '-P 4 2'
_cell_length_a 5.6822
_cell_length_b 5.6822
_cell_length_c 5.2481
_cell_angle_alpha 90.00
_cell_angle_beta 90.00
........
The page goes on:
It’s that livable (though increasingly expensive) downtown, and its attendant cultural and social vibrancy, that figures prominently in the consistently high marks Toronto scores on international surveys as a good place to locate business and attract talent.
In its report, the Board of Trade notes that recent surveys by key groups — the Organization for Economic Co-operation and Development (OECD), Economist Intelligence Unit and PricewaterhouseCoopers among them — have all cited transportation infrastructure as Toronto’s Achilles heel, “the biggest threat to our continued growth and economic prosperity.”
(That should be a matter of national interest since the Toronto region is the economic heart of Canada, generating a full 20 percent of the country’s GDP. Yet Canada is the only G8 country without a national transit strategy.)
The report notes that every year, some 100,000 people move to the Toronto region. By 2031, the population is expected to grow by 50 percent — “one of the fastest population growth rates globally.”
“Toronto’s population is growing at near Asian rates, but infrastructure is being built to support this population growth at less than North American rates” — a damning thought indeed when compared to what Asian and European countries invest in infrastructure.
The report estimates that the annual cost of congestion to the Toronto region economy was $6 billion in 2006, and will more than double in the next 20 years if no “significant” action is taken — and the average commute time will hit close to 2 hours, the “equivalent to almost 3 more work-weeks a year spent in traffic.”
Not a happy prospect for commuters who already face gridlock daily. Even weekends and evenings can be a travel ordeal as road crews shut down lanes to patch up the bits that are falling apart.
On the recent July 1 Canada Day weekend, the Canadian Broadcasting Corporation reported that the major roads in and out of Toronto, including Highway 401 (by volume, the busiest highway in North America), were “a never-ending sea of red lights.”
Police said it was the busiest day they’d ever seen.